## File
/*
# 1
{"formula": "VZnSi2O6", "functional": "PBE+U", "state": "relaxed", "energy_ev_per_atom": -7.2434, "formation_energy_ev_per_atom": -2.7374, "rho_g_cm3": 3.8, "cell": [[-4.937, 2.026, 0.768], [3.459, -0.100, 8.837], [3.370, 8.673, -1.221]], "species": ["V", "V", "V", "V", "Zn", "Zn", "Zn", "Zn", "Si", "Si", "Si", "Si", "Si", "Si", "Si", "Si", "O", "O", "O", "O", "O", "O", "O", "O", "O", "O", "O", "O", "O", "O", "O", "O", "O", "O", "O", "O", "O", "O", "O", "O"], "fractional_positions": [[0.250, 0.000, 0.904], [0.250, 0.500, 0.596], [0.750, 0.500, 0.404], [0.750, 0.000, 0.096], [0.250, 0.500, 0.260], [0.750, 0.000, 0.760], [0.750, 0.500, 0.740], [0.250, 0.000, 0.240], [0.526, 0.305, 0.084], [0.026, 0.805, 0.584], [0.974, 0.695, 0.084], [0.474, 0.195, 0.584], [0.026, 0.305, 0.916], [0.526, 0.805, 0.416], [0.474, 0.695, 0.916], [0.974, 0.195, 0.416], [0.818, 0.356, 0.024], [0.318, 0.856, 0.524], [0.682, 0.644, 0.024], [0.182, 0.144, 0.524], [0.182, 0.644, 0.976], [0.682, 0.144, 0.476], [0.318, 0.356, 0.976], [0.818, 0.856, 0.476], [0.505, 0.383, 0.237], [0.005, 0.883, 0.737], [0.995, 0.617, 0.237], [0.495, 0.117, 0.737], [0.495, 0.617, 0.763], [0.995, 0.117, 0.263], [0.005, 0.383, 0.763], [0.505, 0.883, 0.263], [0.963, 0.127, 0.914], [0.463, 0.627, 0.414], [0.537, 0.873, 0.914], [0.037, 0.373, 0.414], [0.463, 0.127, 0.086], [0.963, 0.627, 0.586], [0.037, 0.873, 0.086], [0.537, 0.373, 0.586]]}

# 2
{"formula": "SiWO4", "functional": "PBE+U", "state": "relaxed", "energy_ev_per_atom": -7.5473, "formation_energy_ev_per_atom": -2.3824, "space_group": "Ia-3d (230)", "rho_g_cm3": 7.1, "cell": [[-5.788, 5.788, 5.788], [5.788, -5.788, 5.788], [5.788, 5.788, -5.788]], "species": ["Si", "Si", "Si", "Si", "Si", "Si", "Si", "Si", "Si", "Si", "Si", "Si", "W", "W", "W", "W", "W", "W", "W", "W", "W", "W", "W", "W", "O", "O", "O", "O", "O", "O", "O", "O", "O", "O", "O", "O", "O", "O", "O", "O", "O", "O", "O", "O", "O", "O", "O", "O", "O", "O", "O", "O", "O", "O", "O", "O", "O", "O", "O", "O", "O", "O", "O", "O", "O", "O", "O", "O", "O", "O", "O", "O"], "fractional_positions": [[0.125, 0.750, 0.875], [0.125, 0.875, 0.250], [0.250, 0.125, 0.875], [0.250, 0.625, 0.375], [0.375, 0.250, 0.625], [0.375, 0.625, 0.750], [0.625, 0.375, 0.250], [0.625, 0.750, 0.375], [0.750, 0.375, 0.625], [0.750, 0.875, 0.125], [0.875, 0.125, 0.750], [0.875, 0.250, 0.125], [0.125, 0.250, 0.375], [0.125, 0.375, 0.750], [0.250, 0.375, 0.125], [0.250, 0.875, 0.625], [0.375, 0.125, 0.250], [0.375, 0.750, 0.125], [0.625, 0.250, 0.875], [0.625, 0.875, 0.750], [0.750, 0.125, 0.375], [0.750, 0.625, 0.875], [0.875, 0.625, 0.250], [0.875, 0.750, 0.625], [0.031, 0.226, 0.130], [0.031, 0.306, 0.901], [0.095, 0.726, 0.694], [0.095, 0.870, 0.401], [0.099, 0.630, 0.405], [0.099, 0.969, 0.694], [0.130, 0.031, 0.226], [0.130, 0.599, 0.905], [0.194, 0.226, 0.595], [0.194, 0.469, 0.599], [0.226, 0.130, 0.031], [0.226, 0.595, 0.194], [0.274, 0.306, 0.905], [0.274, 0.469, 0.370], [0.306, 0.901, 0.031], [0.306, 0.905, 0.274], [0.370, 0.274, 0.469], [0.370, 0.595, 0.901], [0.401, 0.095, 0.870], [0.401, 0.806, 0.531], [0.405, 0.099, 0.630], [0.405, 0.806, 0.774], [0.469, 0.370, 0.274], [0.469, 0.599, 0.194], [0.531, 0.401, 0.806], [0.531, 0.630, 0.726], [0.595, 0.194, 0.226], [0.595, 0.901, 0.370], [0.599, 0.194, 0.469], [0.599, 0.905, 0.130], [0.630, 0.405, 0.099], [0.630, 0.726, 0.531], [0.694, 0.095, 0.726], [0.694, 0.099, 0.969], [0.726, 0.531, 0.630], [0.726, 0.694, 0.095], [0.774, 0.405, 0.806], [0.774, 0.870, 0.969], [0.806, 0.531, 0.401], [0.806, 0.774, 0.405], [0.870, 0.401, 0.095], [0.870, 0.969, 0.774], [0.901, 0.031, 0.306], [0.901, 0.370, 0.595], [0.905, 0.130, 0.599], [0.905, 0.274, 0.306], [0.969, 0.694, 0.099], [0.969, 0.774, 0.870]]}

# 3
*/

## Brief
Repeat the lines earlier on up to the one that holds "[0.774, 0.405,", that line included.

## Completed
# 1
{"formula": "VZnSi2O6", "functional": "PBE+U", "state": "relaxed", "energy_ev_per_atom": -7.2434, "formation_energy_ev_per_atom": -2.7374, "rho_g_cm3": 3.8, "cell": [[-4.937, 2.026, 0.768], [3.459, -0.100, 8.837], [3.370, 8.673, -1.221]], "species": ["V", "V", "V", "V", "Zn", "Zn", "Zn", "Zn", "Si", "Si", "Si", "Si", "Si", "Si", "Si", "Si", "O", "O", "O", "O", "O", "O", "O", "O", "O", "O", "O", "O", "O", "O", "O", "O", "O", "O", "O", "O", "O", "O", "O", "O"], "fractional_positions": [[0.250, 0.000, 0.904], [0.250, 0.500, 0.596], [0.750, 0.500, 0.404], [0.750, 0.000, 0.096], [0.250, 0.500, 0.260], [0.750, 0.000, 0.760], [0.750, 0.500, 0.740], [0.250, 0.000, 0.240], [0.526, 0.305, 0.084], [0.026, 0.805, 0.584], [0.974, 0.695, 0.084], [0.474, 0.195, 0.584], [0.026, 0.305, 0.916], [0.526, 0.805, 0.416], [0.474, 0.695, 0.916], [0.974, 0.195, 0.416], [0.818, 0.356, 0.024], [0.318, 0.856, 0.524], [0.682, 0.644, 0.024], [0.182, 0.144, 0.524], [0.182, 0.644, 0.976], [0.682, 0.144, 0.476], [0.318, 0.356, 0.976], [0.818, 0.856, 0.476], [0.505, 0.383, 0.237], [0.005, 0.883, 0.737], [0.995, 0.617, 0.237], [0.495, 0.117, 0.737], [0.495, 0.617, 0.763], [0.995, 0.117, 0.263], [0.005, 0.383, 0.763], [0.505, 0.883, 0.263], [0.963, 0.127, 0.914], [0.463, 0.627, 0.414], [0.537, 0.873, 0.914], [0.037, 0.373, 0.414], [0.463, 0.127, 0.086], [0.963, 0.627, 0.586], [0.037, 0.873, 0.086], [0.537, 0.373, 0.586]]}

# 2
{"formula": "SiWO4", "functional": "PBE+U", "state": "relaxed", "energy_ev_per_atom": -7.5473, "formation_energy_ev_per_atom": -2.3824, "space_group": "Ia-3d (230)", "rho_g_cm3": 7.1, "cell": [[-5.788, 5.788, 5.788], [5.788, -5.788, 5.788], [5.788, 5.788, -5.788]], "species": ["Si", "Si", "Si", "Si", "Si", "Si", "Si", "Si", "Si", "Si", "Si", "Si", "W", "W", "W", "W", "W", "W", "W", "W", "W", "W", "W", "W", "O", "O", "O", "O", "O", "O", "O", "O", "O", "O", "O", "O", "O", "O", "O", "O", "O", "O", "O", "O", "O", "O", "O", "O", "O", "O", "O", "O", "O", "O", "O", "O", "O", "O", "O", "O", "O", "O", "O", "O", "O", "O", "O", "O", "O", "O", "O", "O"], "fractional_positions": [[0.125, 0.750, 0.875], [0.125, 0.875, 0.250], [0.250, 0.125, 0.875], [0.250, 0.625, 0.375], [0.375, 0.250, 0.625], [0.375, 0.625, 0.750], [0.625, 0.375, 0.250], [0.625, 0.750, 0.375], [0.750, 0.375, 0.625], [0.750, 0.875, 0.125], [0.875, 0.125, 0.750], [0.875, 0.250, 0.125], [0.125, 0.250, 0.375], [0.125, 0.375, 0.750], [0.250, 0.375, 0.125], [0.250, 0.875, 0.625], [0.375, 0.125, 0.250], [0.375, 0.750, 0.125], [0.625, 0.250, 0.875], [0.625, 0.875, 0.750], [0.750, 0.125, 0.375], [0.750, 0.625, 0.875], [0.875, 0.625, 0.250], [0.875, 0.750, 0.625], [0.031, 0.226, 0.130], [0.031, 0.306, 0.901], [0.095, 0.726, 0.694], [0.095, 0.870, 0.401], [0.099, 0.630, 0.405], [0.099, 0.969, 0.694], [0.130, 0.031, 0.226], [0.130, 0.599, 0.905], [0.194, 0.226, 0.595], [0.194, 0.469, 0.599], [0.226, 0.130, 0.031], [0.226, 0.595, 0.194], [0.274, 0.306, 0.905], [0.274, 0.469, 0.370], [0.306, 0.901, 0.031], [0.306, 0.905, 0.274], [0.370, 0.274, 0.469], [0.370, 0.595, 0.901], [0.401, 0.095, 0.870], [0.401, 0.806, 0.531], [0.405, 0.099, 0.630], [0.405, 0.806, 0.774], [0.469, 0.370, 0.274], [0.469, 0.599, 0.194], [0.531, 0.401, 0.806], [0.531, 0.630, 0.726], [0.595, 0.194, 0.226], [0.595, 0.901, 0.370], [0.599, 0.194, 0.469], [0.599, 0.905, 0.130], [0.630, 0.405, 0.099], [0.630, 0.726, 0.531], [0.694, 0.095, 0.726], [0.694, 0.099, 0.969], [0.726, 0.531, 0.630], [0.726, 0.694, 0.095], [0.774, 0.405, 0.806], [0.774, 0.870, 0.969], [0.806, 0.531, 0.401], [0.806, 0.774, 0.405], [0.870, 0.401, 0.095], [0.870, 0.969, 0.774], [0.901, 0.031, 0.306], [0.901, 0.370, 0.595], [0.905, 0.130, 0.599], [0.905, 0.274, 0.306], [0.969, 0.694, 0.099], [0.969, 0.774, 0.870]]}